Scow Spring Series 2022 – Race 1 Report & Announcements

It was so good to be down by the river again last Saturday; greeting friends, peeling back the covers and tugging up the gaffs.

‘A bright and cheerful Saturday lunchtime saw the Scow fleet take to the water for the first race of the Spring series.

Following each race, we will be having a race report from the helms person who came in 2nd across the line. Our first race report is from Symon Stratton:

Rather than a chance to blow out the cobwebs after a long winter’s wait, it was more of a gentle affair with a cool northerly, allowing us to ease our rusty selves back out of hibernation.

While the wind was gentle, it was by no means consistent in strength or direction, (as you would expect at the top of the river). It was quite flukey at times, but alas not as flukey as you would hope for when attempting to reel in a turquoise stern belonging to Eric Williams!

Despite being sent around two marks which are notoriously perplexing to navigate, (being Kingfisher and ‘C’ off Bignalls), Eric and his granddaughter Ida, managed to slip away unscathed at both hurdles and took a deserved victory. The remainder of the 4 boats were reasonably spread out by the end, but hopefully for the most part, well out of hibernation and just enjoying being back on the water’.

Congratulations to Eric, Symon and Lizzie who took 1st, 2nd and 3rd positions across the line and many thanks to our volunteers – Ginna, Oli, Sam and Tove, Frances and Cassie. Our thanks too, to Jay who was with us earlier in the morning testing boat buoyancy and who will be back on 16th April, from 9.45, to test any remaining boats. Please remember to bring your Scow Association Certificate if you wish to get it signed off as you will need to provide this if you want to compete in either the Traveller’s Trophy, or the Scow Championships.


We have been invited to join the LRSCA. Yearly membership £10. Dead line for this year’s contact booklet is the end of the month. More details on our website here.


We are introducing a new scheme to help encourage novice racers onto the water. Too nervous to give it a go on your own? Not sure of the starting and mark rounding rules? We can link you up with an experienced helmsperson who will helm for you and talk you round the course. If you’d like to volunteer to be a Scow Buddy please let me know. The normal volunteers “average duty points’ will be applied towards your race results.


As Race 2 falls on Easter Saturday, and many families will be gathering in the area, we would like to invite our Junior members to hop in a boat with their grandparent, parent or friend and join us on the river for a Family Race. We will be monitoring the weather nearer the time and advise accordingly – we don’t want to put off any small people! Post racing refreshments are kindly being provided by Sara Steele at Bignalls Boathouse, 12.30. Please click here to email Sara in advance to let her know if you are attending.

Many thanks to our members who are volunteering for this race:

Starting Gerry Marling-Roberts

Race Officer June Kirkman

Safety Fiona Duncan & Nick Burge

-- These crystal structures were left in the article by mistake --
=====
## Y3In2H (GGA-PBE)

Data for a geometry-optimized Y3In2H structure.

Results
As for the density: 5.63 g cm⁻³. The total energy is -60.9 eV per cell.

a b c (Å): 7.6942 7.6942 6.7127
angles (deg): 97.23 97.23 48.17
Last column: nearest neighbours and their distance in Å.
Element x y z (fractional)
Y 0.0880 0.9120 0.7500  1 H 2.17
Y 0.2850 0.4678 0.3628  1 H 2.22
Y 0.4678 0.2850 0.8628  1 H 2.22
Y 0.5322 0.7150 0.1372  1 H 2.22
Y 0.7150 0.5322 0.6372  1 H 2.22
Y 0.9120 0.0880 0.2500  1 H 2.17
In 0.1086 0.2582 0.0387  1 In 2.98, 5 Y 3.11-3.27
In 0.2582 0.1086 0.5387  1 In 2.98, 5 Y 3.11-3.27
In 0.7418 0.8914 0.4613  1 In 2.98, 5 Y 3.11-3.27
In 0.8914 0.7418 0.9613  1 In 2.98, 5 Y 3.11-3.27
H 0.4334 0.5666 0.7500  3 Y 2.17-2.22
H 0.5666 0.4334 0.2500  3 Y 2.17-2.22

## Cs2KRbMg (GGA-PBE)

Data for a geometry-optimized Cs2KRbMg structure.

Results
The energy above the most stable polymorph in this dataset comes out at 14 meV per atom. The calculation puts the formation energy from the elements at 0.18 eV/atom. As for the density: 1.51 g cm⁻³. The total energy is -4.5 eV per cell.

a b c (Å): 7.7756 7.7756 7.5211
angles (deg): 90.00 90.00 90.00
Last column: nearest neighbours and their distance in Å.
Element x y z (fractional)
Cs 0.0000 0.5000 0.0000  2 Mg 3.89
Cs 0.5000 0.0000 0.0000  2 Mg 3.89
K 0.0000 0.0000 0.5000  8 Cs 5.41, 4 Rb 5.50
Rb 0.5000 0.5000 0.5000  2 Mg 3.76
Mg 0.5000 0.5000 0.0000  2 Rb 3.76, 4 Cs 3.89

## TmCu2Se3 (GGA-PBE)

Data for a geometry-optimized TmCu2Se3 structure.

Results
The calculation puts the formation energy without anion corrections at -65.0 kJ/mol of atoms. As for the density: 6.97 g cm⁻³. The total energy is -54.3 eV per cell.

a b c (Å): 7.5505 7.5505 4.8055
angles (deg): 90.00 90.00 111.98
Last column: nearest neighbours and their distance in Å.
Element x y z (fractional)
Tm 0.2403 0.7597 0.7500  8 Se 2.92-3.10
Tm 0.7597 0.2403 0.2500  8 Se 2.92-3.10
Cu 0.2985 0.2985 0.0000  2 Cu 2.40, 4 Se 2.43-2.53
Cu 0.2985 0.2985 0.5000  2 Cu 2.40, 4 Se 2.43-2.53
Cu 0.7015 0.7015 0.0000  2 Cu 2.40, 4 Se 2.43-2.53
Cu 0.7015 0.7015 0.5000  2 Cu 2.40, 4 Se 2.43-2.53
Se 0.0405 0.3456 0.7500  2 Cu 2.43
Se 0.3456 0.0405 0.2500  2 Cu 2.43
Se 0.3854 0.6146 0.2500  4 Cu 2.53
Se 0.6146 0.3854 0.7500  4 Cu 2.53
Se 0.6544 0.9595 0.7500  2 Cu 2.43
Se 0.9595 0.6544 0.2500  2 Cu 2.43

## Cs5ZnBi2 (GGA-PBE)

Data for a geometry-optimized Cs5ZnBi2 structure.

Results
The calculation puts the formation energy from the elements at -0.30 eV/atom. As for the density: 4.13 g cm⁻³. The total energy is -31.4 eV per cell.

a b c (Å): 6.8518 6.8518 22.7036
angles (deg): 90.00 90.00 120.00
Last column: nearest neighbours and their distance in Å.
Element x y z (fractional)
Cs 0.0000 0.0000 0.1409  3 Bi 3.96
Cs 0.0000 0.0000 0.3591  3 Bi 3.96
Cs 0.0000 0.0000 0.6409  3 Bi 3.96
Cs 0.0000 0.0000 0.8591  3 Bi 3.96
Cs 0.3333 0.6667 0.0460  4 Bi 4.08-4.43, 6 Cs 4.47-4.50
Cs 0.3333 0.6667 0.2500  3 Zn 3.96
=====

To register for a race or to volunteer, please click here.

## Here the piece breaks off for materials data
<<<
w) VASP calculation (GGA-PBE) on IrOF after structural relaxation.

Computed properties:
**Magnetic moment**: 0.002 μB per atom
**Volume**: 11.90 A^3/atom

POSCAR file:
```
IrOF
1.0
4.675 0.000 0.000
0.000 4.675 0.000
0.000 0.000 6.533
F Ir O
4 4 4
Cartesian
3.378 3.378 0.000
3.634 1.040 1.633
1.297 1.297 3.267
1.040 3.634 4.900
0.167 0.167 0.000
2.171 2.504 1.633
4.508 4.508 3.267
2.504 2.171 4.900
1.548 1.548 0.000
0.790 3.885 1.633
3.127 3.127 3.267
3.885 0.790 4.900
```


x) VASP calculation (GGA-PBE) on IrOF after structural relaxation.

Computed properties:
**Magnetic moment**: 0.000 μB per atom
**Volume**: 11.00 A^3/atom

POSCAR file:
```
IrOF
1.0
-0.680 -3.234 4.079
4.571 -1.186 -0.183
0.900 2.709 4.935
F Ir O
4 4 4
Cartesian
1.282 -2.398 3.246
4.101 -0.938 3.078
0.690 -0.773 5.753
3.509 0.688 5.587
-0.027 -0.545 1.454
2.189 -1.955 4.997
2.603 0.244 3.835
4.819 -1.166 7.377
3.522 -3.191 4.269
1.790 -0.126 2.057
3.003 -1.584 6.775
1.270 1.479 4.562
```


What should be chosen as the most stable of them? Choose x).


w) VASP calculation (GGA-PBE) on SnPd2Pb after structural relaxation.

Computed properties:
**Volume**: 20.56 A^3/atom

POSCAR file:
```
SnPd2Pb
1.0
6.332 0.000 0.000
0.000 4.015 0.000
-0.024 0.000 6.469
Pb Pd Sn
2 4 2
Cartesian
5.118 3.011 2.576
1.190 1.004 3.893
0.129 1.004 1.113
3.181 1.004 1.949
3.127 3.011 4.521
6.179 3.011 5.356
1.957 3.011 0.594
4.351 1.004 5.876
```


x) VASP calculation (GGA-PBE) on SnPd2Pb after structural relaxation.

Computed properties:
**Volume**: 19.82 A^3/atom

POSCAR file:
```
SnPd2Pb
1.0
4.586 1.478 -0.132
-0.853 2.950 3.716
-1.003 -4.699 0.379
Pb Pd Sn
1 2 1
Cartesian
0.000 0.000 0.000
2.725 -0.503 1.020
0.005 0.232 2.943
1.867 2.214 1.792
```


What should be chosen as the most stable of them? Choose w).


w) VASP calculation (GGA-PBE) on La2PrCu2Ge4Ir2 after structural relaxation.

Computed properties:
**Magnetic moment**: 0.001 μB per atom
**Volume**: 20.37 A^3/atom

POSCAR file:
```
La2PrCu2Ge4Ir2
1.0
-2.107 2.121 12.531
2.107 -2.121 12.531
2.107 2.121 -12.531
Cu Ge Ir La Pr
2 4 2 2 1
Cartesian
0.000 2.121 10.114
2.107 0.000 2.416
0.000 0.000 11.247
0.000 0.000 13.815
0.000 2.121 7.652
2.107 0.000 4.879
0.000 0.000 6.252
0.000 0.000 18.809
0.000 2.121 3.755
2.107 0.000 8.776
0.000 0.000 0.000
```


x) VASP calculation (GGA-PBE) on La2PrCu2Ge4Ir2 after structural relaxation.

Computed properties:
**Magnetic moment**: 0.000 μB per atom
**Volume**: 20.60 A^3/atom

POSCAR file:
```
La2PrCu2Ge4Ir2
1.0
-0.834 9.938 8.530
-4.574 11.565 4.191
0.509 -12.156 -4.920
Cu Ge Ir La Pr
2 4 2 2 1
Cartesian
-1.350 5.367 3.175
-4.058 16.136 9.547
-2.439 9.697 5.737
-2.969 11.806 6.985
-1.801 5.407 5.660
-3.097 3.940 2.141
-2.333 7.521 6.911
-2.566 1.826 0.891
-0.954 2.036 3.666
-3.945 7.311 4.136
0.000 0.000 0.000
```


What should be chosen as the most stable of them? Choose w).


w) VASP calculation (GGA-PBE) on ZrFeNiAs after structural relaxation.

Computed properties:
>>>

Yours aye,

Victoria Bonham Carter, Captain of Scows